“In most cases, the diabetic test given at a free screening is a point-of-care blood sugar test,” says Shannon Knapp, RN, CDE, manager of diabetes education in the department of endocrinology, diabetes, and metabolism at the Cleveland Clinic in Ohio. These tests measure blood sugar with a finger prick and a glucose monitor. “Free screenings for diabetes are beneficial but have a lower accuracy rate than lab tests done in a doctor’s office,” Knapp notes. “They may be given at health fairs, community centers, or local pharmacies, but they are not a substitute for your primary care doctor.” There are reasons that free screenings for diabetes may be an early indicator of the disease but still don’t provide a complete picture on their own. “To diagnose diabetes, you generally need two elevated fasting blood sugars,” explains Knapp. “It’s important to know that if you have free screening for diabetes without fasting, the results are not very useful. Any abnormal diabetic test needs to be followed up with your doctor.”

Materials data, as found in the file >
~~~
No. 1
# Bi4PbCl2O6
Computed X-ray diffraction stick pattern, a wavelength of 1.5418 Å. Input: a structure optimized by DFT (GGA-PBE).
Peak positions follow from Bragg's law for the DFT cell and can differ from measured ones.

Most intense lines, 15° ≤ 2θ ≤ 90°, by angle:
| d/Å | I (rel.) | (hkl) |
| --- | --- | --- |
| 3.732 | 26.6 | 1 0 3 |
| 3.227 | 9.6 | 0 0 10 |
| 3.012 | 100.0 | 1 0 7 |
| 2.813 | 41.2 | 1 1 0 |
| 2.121 | 22.6 | 1 1 10 |
| 1.989 | 22.0 | 2 0 0 |
| 1.783 | 15.8 | 1 1 14 |
| 1.713 | 18.8 | 1 0 17 |
| 1.660 | 35.9 | 2 1 7 |
| 1.298 | 14.0 | 2 1 17 |

```
data_Bi4PbCl2O6
_chemical_formula_sum 'Bi8 Pb2 Cl4 O12'
_cell_length_a 3.979
_cell_length_b 3.979
_cell_length_c 32.268
_cell_angle_alpha 90.00
_cell_angle_beta 90.00
_cell_angle_gamma 90.00
_symmetry_space_group_name_H-M 'I 4/m m m'
_symmetry_Int_Tables_number 139
_symmetry_space_group_name_Hall '-I 4 2'
loop_
_atom_site_label
_atom_site_type_symbol
_atom_site_fract_x
_atom_site_fract_y
_atom_site_fract_z
_atom_site_occupancy
Bi1 Bi 0.000 0.000 0.083 1
Bi2 Bi 0.000 0.000 0.212 1
Pb1 Pb 0.000 0.000 0.500 1
Cl1 Cl 0.000 0.000 0.332 1
O1 O 0.000 0.500 0.053 1
O2 O 0.000 0.500 0.250 1
```

---

No. 2
# BiPbClO2
Computed X-ray diffraction stick pattern, a wavelength of 1.5418 Å. Input: a structure optimized by DFT (GGA-PBE).
Peak positions follow from Bragg's law for the DFT cell and can differ from measured ones.

Most intense lines, 15° ≤ 2θ ≤ 90°, by angle:
| d/Å | I (rel.) | (hkl) |
| --- | --- | --- |
| 3.838 | 33.2 | 0 0 2 |
| 3.511 | 98.4 | 1 1 0 |
| 2.997 | 100.0 | 2 0 -2 |
| 2.802 | 90.8 | 1 1 -2 |
| 2.614 | 41.9 | 2 1 0 |
| 2.051 | 21.2 | 0 2 0 |
| 1.972 | 24.3 | 2 1 2 |
| 1.968 | 24.2 | 3 1 -2 |
| 1.738 | 27.3 | 0 1 4 |
| 1.693 | 38.3 | 2 2 -2 |

```
data_BiPbClO2
_chemical_formula_sum 'Bi2 Pb2 Cl2 O4'
_cell_length_a 7.069
_cell_length_b 4.102
_cell_length_c 8.002
_cell_angle_alpha 90.00
_cell_angle_beta 106.27
_cell_angle_gamma 90.00
_symmetry_space_group_name_H-M 'P 1 21/m 1'
_symmetry_Int_Tables_number 11
loop_
_symmetry_equiv_pos_as_xyz
'x,y,z'
'-x,-y,-z'
'-x,y+1/2,-z'
'x,-y+1/2,z'
loop_
_atom_site_label
_atom_site_type_symbol
_atom_site_fract_x
_atom_site_fract_y
_atom_site_fract_z
_atom_site_occupancy
Bi1 Bi 0.168 0.250 0.411 1
Pb1 Pb 0.192 0.250 0.935 1
Cl1 Cl 0.430 0.750 0.254 1
O1 O 0.005 0.750 0.864 1
O2 O 0.015 0.750 0.395 1
```
~~~
So much for the materials data >

Why Get a Free Diabetes Screening?

The purpose of this type of screening is to serve as an early alert, hopefully cutting down on the damage done by type 2 diabetes by uncovering it and addressing it early, before you have any complications of high blood sugar. Also, “These screenings have the potential to catch other types of diabetes,” adds Knapp. Since more than 29 million Americans have diabetes, and another 86 million are at risk for the disease, early diagnosis is more important than ever. Here are more reasons for getting a screening:

You can find out whether you might have a type of diabetes called prediabetes, which almost always starts before full-blown type 2 diabetes.Early diagnosis enables you to start self-care with healthy lifestyle changes, like increasing exercise and losing weight.For some people with prediabetes, early treatment can actually return blood glucose levels to the normal range.

Who Should Get Screened for Diabetes?

(Crystal structures that have nothing to do with the piece)
┌──
Theoretical powder diffraction line list of In2NiW2 for λ = 1.5418 Å (Cu Kα), from a crystal structure in Alexandria, relaxed with PBE.

Structure:
Cell: 3.623 3.623 14.996 Å, 90.00 90.00 90.00°
Space group I4/mmm (No. 139)
Inequivalent atoms, fractional coordinates:
In 0.000 0.000 0.094 x4
Ni 0.000 0.000 0.500 x2
W 0.000 0.500 0.250 x4

Main lines, by intensity (15° ≤ 2θ ≤ 90°):
| Position (°2θ) | Rel. int. | index |
| --- | --- | --- |
| 37.08 | 100 | 1 1 2 |
| 42.75 | 55 | 1 1 4 |
| 50.37 | 34 | 2 0 0 |
| 38.99 | 28 | 1 0 5 |
| 35.93 | 27 | 0 0 6 |
| 73.12 | 21 | 1 1 10 |
| 63.42 | 21 | 2 0 6 |
| 23.73 | 20 | 0 0 4 |

Theoretical powder diffraction line list of Li2SmPd4 for λ = 1.5418 Å (Cu Kα), from a crystal structure in Alexandria, relaxed with PBE.

Structure:
Cell: 5.188 6.620 6.984 Å, 90.00 90.00 90.00°
Space group Immm (No. 71)
Inequivalent atoms, fractional coordinates:
Li 0.246 0.000 0.000 x4
Sm 0.000 0.500 0.000 x2
Pd 0.000 0.204 0.303 x8

Main lines, by intensity (15° ≤ 2θ ≤ 90°):
| Position (°2θ) | Rel. int. | index |
| --- | --- | --- |
| 34.60 | 100 | 2 0 0 |
| 37.44 | 52 | 0 2 2 |
| 18.47 | 50 | 0 1 1 |
| 42.57 | 48 | 1 0 3 |
| 33.77 | 43 | 1 1 2 |
| 51.87 | 37 | 2 2 2 |
| 44.62 | 37 | 1 3 0 |
| 68.94 | 26 | 3 3 0 |

> Which formula does entry 2 have?

Li2SmPd4

=====

No. 1
For Zr4HgS8, DFT lattice parameters and positions (GGA-PBE) gives the theoretical powder XRD pattern in this record (a wavelength of 1.5418 Å).
Lines closer than 0.1° are merged.

Top 12 peaks for 10 to 90 degrees two-theta, in order of falling intensity:
2θ = 31.02°, I = 100; 2θ = 14.25°, I = 41; 2θ = 38.92°, I = 40; 2θ = 15.36°, I = 34; 2θ = 19.85°, I = 33; 2θ = 49.43°, I = 30; 2θ = 44.08°, I = 25; 2θ = 19.19°, I = 21; 2θ = 28.74°, I = 21; 2θ = 26.14°, I = 20; 2θ = 36.63°, I = 19; 2θ = 55.96°, I = 18

Crystal structure
```
Zr4HgS8
1.0
3.688 2.129 8.944
-3.688 2.129 8.944
0.000 -4.258 8.944
Zr Hg S
4 1 8
Direct
0.000 0.000 0.000
0.000 0.500 0.500
0.500 0.000 0.500
0.500 0.500 0.000
0.500 0.500 0.500
0.221 0.221 0.721
0.221 0.721 0.221
0.279 0.279 0.279
0.279 0.779 0.779
0.721 0.221 0.221
0.721 0.721 0.721
0.779 0.279 0.779
0.779 0.779 0.279
```

No. 2
For Pu2Pa4Al, DFT lattice parameters and positions (GGA-PBE) gives the theoretical powder XRD pattern in this record (a wavelength of 1.5418 Å).
Lines closer than 0.1° are merged.

Top 12 peaks for 10 to 90 degrees two-theta, in order of falling intensity:
2θ = 35.87°, I = 100; 2θ = 35.28°, I = 39; 2θ = 38.79°, I = 29; 2θ = 22.03°, I = 23; 2θ = 43.79°, I = 19; 2θ = 64.46°, I = 19; 2θ = 75.10°, I = 17; 2θ = 24.29°, I = 15; 2θ = 64.08°, I = 14; 2θ = 51.19°, I = 14; 2θ = 66.41°, I = 13; 2θ = 76.02°, I = 12

Crystal structure
```
Pu2Pa4Al
1.0
2.504 1.446 7.329
-2.504 1.446 7.329
0.000 -2.891 7.329
Pu Pa Al
2 4 1
Direct
0.241 0.241 0.241
0.759 0.759 0.759
0.097 0.097 0.097
0.360 0.360 0.360
0.640 0.640 0.640
0.903 0.903 0.903
0.500 0.500 0.500
```

=====

# 1
└──

Anyone can benefit from a free screening, but there are recommendations for who is most likely to benefit. “Anyone age 45 or older should begin testing,” says Knapp. In addition, adults who are overweight or obese and have one additional risk factor for diabetes — including physical inactivity or polycystic ovary syndrome (PCOS) — should be tested. And if you do have risk factors for diabetes, you should consider getting tested at an earlier age. Screening guidelines include the following:

People age 45 or older should be screened by their doctor every three years.Risk factors that should be considered for screening include being overweight, having high blood pressure, having abnormal blood lipids (low levels of HDL or a high level of triglycerides), having a close relative with diabetes, and being a woman who had diabetes during pregnancy.Anyone with sustained blood pressure greater than 140/90 should be screened. Those on medication for high blood pressure, even if their blood pressure is lower than the guideline, should also be screened.

Still unsure whether you’re in a risk category? Take a type 2 diabetes risk test at the American Diabetes Association’s website.

Where to Find Free Screening for Diabetes

If you’re on Medicare, you can get a free screening at your local hospital or at your doctor’s office if you have any of these risk factors:

High blood pressureObesityHistory of abnormal blood lipidsHistory of high blood sugar

Free screenings for diabetes are often available at hospitals or medical centers. Other options include pharmacies and shopping centers. Here are some screening resources to check out; offerings vary from location to location and state to state, so check online or call before going in for a diabetes screening:

CVSWalgreensSam’s Club

Remember that a free screening for diabetes is no substitute for a fasting blood sugar test at your doctor’s office. According to the Centers for Disease Control and Prevention (CDC), diabetes screening at health fairs and shopping malls often fails to be beneficial because people don’t follow up with an office visit. “Talk to your primary care doctor about your risk factors and find out what the best screening program is for you,” Knapp advises.